Failed install of code 2023.1.1

Hi, I am unable to install code 2023.1.1
I have tried reinstalling omniverse and the issue persists.

Here is my log file:
launcher.log (220.2 KB)

@frederick.liew i am just another OV user, but is this the first time you are using OV? if so, could you try rebooting your machine after OV Launcher installation? also, have you tried other versions to see if this issue persists?

I have used 2022.3.1 in the past and upgraded to 2022.3.3 successfully.

I also get the same error.
I’m currently using code 2022.3.3 release.

@frederick.liew @hjkim7 are you guys getting stuck at pull_kit_sdk.bat during installation? can you guys also try updating the OV launcher to 1.9.10 and see if the issue persists?

If you are having any issues please post modern logs

Have updated my OV launcher to 1.9.10
This error occurs while trying to install the newer version of code

Error occurred during installation of Code: error running: ['D:\\omniverse\\Library\\deps\\795f6abc38988ca868180636507b0118\\dev\\tools\\../../kit/kit.exe', 'D:\\omniverse\\Library\\deps\\795f6abc38988ca868180636507b0118\\dev\\tools\\../../apps/omni.code.kit', '--allow-root', '--ext-precache-mode', '--/app/settings/persistent=0', '--/app/settings/loadUserConfig=0', '--/app/enableStdoutOutput=1', '--/app/extensions/registryEnabled=1', '--/app/extensions/mkdirExtFolders=0', '--/log/flushStandardStreamOutput=1', '--/exts/omni.kit.registry.nucleus/registries/0/name="kit/default"', '--/exts/omni.kit.registry.nucleus/registries/0/url=""', '--/exts/omni.kit.registry.nucleus/registries/1/name="kit/sdk"', '--/exts/omni.kit.registry.nucleus/registries/1/url="${kit_version_short}/${kit_git_hash}"', "--/app/extensions/registryCacheFull='D:\\omniverse\\Library\\deps\\795f6abc38988ca868180636507b0118\\dev\\tools\\../../extscache'", '--ext-folder', 'D:\\omniverse\\Library\\deps\\795f6abc38988ca868180636507b0118\\dev\\tools\\../../exts', '--ext-folder', 'D:\\omniverse\\Library\\deps\\795f6abc38988ca868180636507b0118\\dev\\tools\\../../apps', '--/app/extensions/parallelPullEnabled=1', '--/app/enableStdoutOutput=0', '--/app/fastShutdown=1'], code: 55, message: ""

Attached is the log from /logs
launcher.log (315.9 KB)

Your log is fully of HTTP:403 errors. 403 means you are not authorized to install the feature.

[2023-12-13 14:48:45.589] [warn] Couldn’t load featured components: Error: Featured components are not available – HTTP403.

This could mean that you are not currently logged in correctly into Launcher, or you are currently trying to pull data behind a firewall that is not allowing it. Or you are located in one of the countries that is currently restricted.

Where are you located ?

Actually we have looked into this and there might be an issue at our end with a locked file. We are investigating now. I will check back when its ready and ask you to try again.

Can you try again, the issue has been fixed !

I am still having issues with the installation
This is the error:

Error occurred during installation of Code: error running: ['D:\\omniverse\\Library\\deps\\795f6abc38988ca868180636507b0118\\dev\\tools\\../../kit/kit.exe', 'D:\\omniverse\\Library\\deps\\795f6abc38988ca868180636507b0118\\dev\\tools\\../../apps/omni.code.kit', '--allow-root', '--ext-precache-mode', '--/app/settings/persistent=0', '--/app/settings/loadUserConfig=0', '--/app/enableStdoutOutput=1', '--/app/extensions/registryEnabled=1', '--/app/extensions/mkdirExtFolders=0', '--/log/flushStandardStreamOutput=1', '--/exts/omni.kit.registry.nucleus/registries/0/name="kit/default"', '--/exts/omni.kit.registry.nucleus/registries/0/url=""', '--/exts/omni.kit.registry.nucleus/registries/1/name="kit/sdk"', '--/exts/omni.kit.registry.nucleus/registries/1/url="${kit_version_short}/${kit_git_hash}"', "--/app/extensions/registryCacheFull='D:\\omniverse\\Library\\deps\\795f6abc38988ca868180636507b0118\\dev\\tools\\../../extscache'", '--ext-folder', 'D:\\omniverse\\Library\\deps\\795f6abc38988ca868180636507b0118\\dev\\tools\\../../exts', '--ext-folder', 'D:\\omniverse\\Library\\deps\\795f6abc38988ca868180636507b0118\\dev\\tools\\../../apps', '--/app/extensions/parallelPullEnabled=1', '--/app/enableStdoutOutput=0', '--/app/fastShutdown=1'], code: 55, message: ""

Attached is the log file.
launcher.log (334.1 KB)

Here the text breaks off for records of molecules
<<<
<one>
Formula: C9H14
Source: OMol25
Level of theory: wB97M-V/def2-TZVPD

The geometry in XYZ format:
```
23
Properties=species:S:1:pos:R:3:mulliken_charge:R:1
C 0.88986 -0.49191 -1.63228 -1.138
C 0.55869 0.93561 2.27124 -0.039
C 0.93053 -0.44344 2.11270 -0.513
C 0.56106 1.85468 1.29192 -0.912
C 1.29661 -0.80517 0.85158 -0.367
C 0.79955 1.37163 -0.06396 -0.074
C 1.17352 0.06865 -0.32290 0.594
H 0.23571 1.06715 3.40431 0.186
H 1.02486 -1.23237 2.94126 0.289
H 0.27602 2.87001 1.39250 0.404
H 1.59804 -1.81221 0.63466 0.329
H 0.61465 1.95323 -0.94874 0.416
H 1.52044 -0.23580 -2.55606 0.338
H -0.11753 -0.19069 -1.94493 -0.115
H 1.16517 -1.48158 -1.71482 0.565
C -2.29048 -1.45943 -1.04782 -0.602
C -2.55995 -0.33276 -2.08394 -1.206
H -1.51207 -2.02574 -1.36840 0.245
H -2.08362 -0.89766 -0.02629 0.134
H -3.21071 -2.02840 -0.83181 0.335
H -3.51440 -0.27932 -2.32018 0.432
H -2.13789 0.65190 -1.92573 0.324
H -2.01502 -0.54574 -2.99504 0.376
```

LUMO energy = 1.03 eV
total charge = 0
SMILES = Cc1ccccc1.CC
HOMO-LUMO gap = 9.892 eV
highest occupied orbital energy = -8.9 eV

<two>
Formula: C9H14
Source: OMol25
Level of theory: wB97M-V/def2-TZVPD

The geometry in XYZ format:
```
23
Properties=species:S:1:pos:R:3:mulliken_charge:R:1
C 2.31101 -2.29506 2.72220 -0.702
C 1.30225 -1.08632 2.81979 -0.762
H 3.20018 -1.64389 2.51109 0.201
H 2.38550 -2.90649 3.65930 0.323
H 1.93696 -2.90952 1.85138 0.213
H 0.27149 -1.31730 2.46157 0.102
H 1.05814 -0.83653 3.90874 0.353
H 1.78538 -0.29681 2.36845 0.322
C -2.74185 1.35999 -1.87342 -1.422
C 0.95662 0.73983 -1.50399 -0.349
C 0.99068 -0.02328 -0.30838 -0.241
C -0.26278 1.31155 -1.94179 -0.821
C -1.42443 0.85642 -1.30946 0.979
C -0.11449 -0.25061 0.35260 0.033
C -1.42315 0.09544 -0.18010 -0.965
H 1.86932 0.94158 -2.17615 0.263
H 1.94272 -0.42740 0.12953 0.232
H -0.31885 1.98670 -2.71854 0.504
H -0.16157 -0.95578 1.18256 0.240
H -3.09512 0.67350 -2.75224 0.233
H -2.85478 2.38730 -2.28132 0.365
H -2.22456 -0.35936 0.25815 0.476
H -3.35798 1.41620 -1.06723 0.423
```

LUMO energy = 0.99 eV
total charge = 0
SMILES = Cc1ccccc1.CC
HOMO-LUMO gap = 10.009 eV
highest occupied orbital energy = -9.0 eV

<three>
Formula: C9H14
Source: OMol25
Level of theory: wB97M-V/def2-TZVPD

The geometry in XYZ format:
```
23
Properties=species:S:1:pos:R:3:mulliken_charge:R:1
C 0.85500 -1.35232 -2.17785 -0.368
C 0.63818 -1.82698 -3.60037 -0.890
H 0.88697 -2.10997 -1.40687 0.354
H 1.82398 -0.82344 -2.02941 0.325
H 0.06655 -0.72616 -1.96879 -0.244
H 0.12915 -1.02104 -4.11041 0.272
H -0.01765 -2.77171 -3.71417 0.220
H 1.58914 -2.20638 -3.95274 0.293
C -0.03668 2.56083 2.76059 -1.492
C -1.03048 -0.68153 0.39806 -0.549
C -0.79617 0.55792 -0.15002 -0.498
C -0.61494 -0.95476 1.71054 -0.382
C -0.35863 1.56230 0.62756 -0.573
C -0.07166 0.02734 2.46750 -0.453
C -0.12144 1.28396 1.92477 0.857
H -1.47676 -1.55775 -0.04188 0.420
H -1.09248 0.79954 -1.12250 0.480
H -0.61480 -1.97881 1.98832 0.382
H -0.23078 2.51080 0.23988 0.408
H 0.51447 -0.03676 3.39121 0.349
>>>
End of the records of molecules

Ok lets take a look.

  1. You are having an authorization problem
    [error] Got an error during the token refresh: Error: Unexpected error happened during the authentication. Please try to log out from the launcher and authenticate again. ([invalid_token] -- Token not found)
  2. You are using the wrong Launcher. It is VERY out of date Omniverse Launcher 1.8.11 (production)
  3. It looks like you have the latest launcher ready to install 1.9.10 but you are not installing it
[2024-01-19 21:03:22.710] [info]  Downloading Launcher 1.9.10...
[2024-01-19 21:05:21.497] [info]  Launcher 1.9.10 is downloaded and ready to be installed after restart.
  1. You are trying to install code, whilst waiting to already install Code [error] Error: code@2023.1.1 installation is in progress already.

So here is my advice.

  1. Fully restart your computer
  2. Start Launcher and Make sure you are logged in correctly
  3. Make sure you are updated to 1.9.10. Do not attempt to install any apps until you get to make sure you are running 1.9.10
  4. Try again.

If that does NOT work

  1. Remove All Apps from Launcher
  2. Close launcher
  3. Run Task Manager and end ALL “Omni” threads
  4. Delete your entire c:/users/USER/appdata/temp/OV/ folder
  5. Update Launcher to 1.9.10
  6. Make SURE you are logged in correctly
  7. Try to install Code again

Is the launcher not updated even though the about page shows 1.9.10?

Yes that is the correct launcher

Hello @Richard3D, I am facing the same issue. I have posted about it on Discord but I feel I should post in this thread as well.
This is the error I get when installing:
Error occurred during installation of Code: error running: ['C:\\Users\\makerslab\\AppData\\Local\\ov\\pkg\\deps\\795f6abc38988ca868180636507b0118\\dev\\tools\\../../kit/kit.exe', 'C:\\Users\\makerslab\\AppData\\Local\\ov\\pkg\\deps\\795f6abc38988ca868180636507b0118\\dev\\tools\\../../apps/omni.code.kit', '--allow-root', '--ext-precache-mode', '--/app/settings/persistent=0', '--/app/settings/loadUserConfig=0', '--/app/enableStdoutOutput=1', '--/app/extensions/registryEnabled=1', '--/app/extensions/mkdirExtFolders=0', '--/log/flushStandardStreamOutput=1', '--/exts/omni.kit.registry.nucleus/registries/0/name="kit/default"', '--/exts/omni.kit.registry.nucleus/registries/0/url=""', '--/exts/omni.kit.registry.nucleus/registries/1/name="kit/sdk"', '--/exts/omni.kit.registry.nucleus/registries/1/url="${kit_version_short}/${kit_git_hash}"', "--/app/extensions/registryCacheFull='C:\\Users\\makerslab\\AppData\\Local\\ov\\pkg\\deps\\795f6abc38988ca868180636507b0118\\dev\\tools\\../../extscache'", '--ext-folder', 'C:\\Users\\makerslab\\AppData\\Local\\ov\\pkg\\deps\\795f6abc38988ca868180636507b0118\\dev\\tools\\../../exts', '--ext-folder', 'C:\\Users\\makerslab\\AppData\\Local\\ov\\pkg\\deps\\795f6abc38988ca868180636507b0118\\dev\\tools\\../../apps', '--/app/extensions/parallelPullEnabled=1', '--/app/enableStdoutOutput=0', '--/app/fastShutdown=1'], code: 55, message: ""

And Attached is the log after a clean re-installation of OV Launcher:
launcher (1).log (56.3 KB)

my appdata doesnt have a temp folder, only local, locallow and roaming

**The entry is interrupted by molecular data:**
<<<
A 2-piece molecular cluster, C4H7FO2 overall in a non-equilibrium geometry. Source: the OMol25 dataset; level of theory: ωB97M-V/def2-TZVPD.

Lowest unoccupied orbital energy: -0.6 eV
Spin multiplicity: 1
E_tot: -406.76910 Eh
Molecular weight: 106.1 g mol⁻¹
Relative energy (zero: lowest compared OMol25 entry of this formula, charge and spin): 122.9 kcal/mol

```
14
C4H7FO2 (ωB97M-V/def2-TZVPD)
C 0.11 1.22 0.27
C 0.02 0.19 1.49
C 0.45 -0.92 0.68
C 0.85 0.13 -0.52
H -2.03 1.05 0.52
H 0.56 2.13 0.44
H -0.89 0.21 2.06
H 0.81 0.22 2.14
H 1.31 -1.56 0.89
H 1.86 0.24 -0.57
H -0.43 0.18 -1.73
O -1.14 1.60 -0.51
O 0.50 -0.29 -1.79
F -0.52 -1.85 0.35
```


An isolated ion of composition C4H7IN and charge +1 in a non-equilibrium geometry. Source: the OMol25 dataset; level of theory: ωB97M-V/def2-TZVPD.

Net charge: +1
Lowest unoccupied orbital energy: -4.0 eV
Spin multiplicity: 1
E_tot: -508.66898 Eh
Molecular weight: 196.0 g mol⁻¹
Relative energy (zero: lowest compared OMol25 entry of this formula, charge and spin): 84.6 kcal/mol

```
13
C4H7IN (ωB97M-V/def2-TZVPD)
C 0.25 -1.34 0.44
C -0.70 -0.34 -0.85
C 0.60 1.16 0.76
C 1.26 -0.10 0.41
N 0.47 0.66 -0.61
I 3.36 0.00 -0.04
H -0.28 -1.22 1.34
H 0.64 -2.29 0.09
H -0.68 -0.48 -1.90
H -1.67 -0.02 -0.56
H -0.28 0.91 1.49
H 1.17 2.13 1.06
H 0.76 1.26 -1.28
```


C4H7KO3 as an isolated structure in a non-equilibrium geometry. Source: the OMol25 dataset; level of theory: ωB97M-V/def2-TZVPD.

Lowest unoccupied orbital energy: -0.3 eV
Spin multiplicity: 1
E_tot: -982.22336 Eh
Molecular weight: 142.2 g mol⁻¹
Relative energy (zero: lowest compared OMol25 entry of this formula, charge and spin): 0.6 kcal/mol

```
15
C4H7KO3 (ωB97M-V/def2-TZVPD)
O -1.12 -2.40 1.53
C -1.55 -2.71 0.52
O 0.23 -0.32 -0.62
C 1.53 -0.72 -0.85
C 2.57 0.36 -0.55
O 2.47 0.75 0.82
C 3.39 1.75 1.19
K 0.05 0.44 1.56
H 1.72 -1.03 -1.90
H 1.81 -1.61 -0.23
H 2.39 1.25 -1.19
H 3.59 -0.02 -0.75
H 3.20 2.01 2.24
H 4.43 1.38 1.09
H 3.27 2.65 0.57
```


A single C4H7N molecule in a non-equilibrium geometry. Source: the OMol25 dataset; level of theory: ωB97M-V/def2-TZVPD.

Lowest unoccupied orbital energy: 0.8 eV
Spin multiplicity: 1
E_tot: -211.33144 Eh
Molecular weight: 69.1 g mol⁻¹
Relative energy (zero: lowest compared OMol25 entry of this formula, charge and spin): 18.3 kcal/mol

```
12
C4H7N (ωB97M-V/def2-TZVPD)
C 1.46 0.53 0.51
C -0.08 0.24 0.68
C -1.05 0.00 -0.56
C -1.18 -1.38 -1.19
N -1.33 -2.42 -1.70
H 2.02 -0.09 1.22
H 1.74 1.56 0.72
H 1.93 0.32 -0.45
H -0.56 1.00 1.30
H 0.00 -0.63 1.33
H -0.83 0.66 -1.41
H -2.12 0.20 -0.45
```

----------

Record 1
Formula: C16H40O6Zr
Source: the Open Molecules 2025 dataset
Level of theory: ωB97M-V/def2-TZVPD

Structure (XYZ):
```
63
Properties=species:S:1:pos:R:3:forces:R:3:lowdin_charge:R:1
Zr 18.697204 -8.010801 -14.971865 -0.598 0.087 0.582 1.98
O 19.387749 -10.016068 -14.376070 -0.715 1.726 -0.857 -0.39
O 17.907856 -5.989677 -15.464848 0.790 -2.235 -0.212 -0.38
>>>
**End of the molecular data:**

I have tried restarting my computer, deleting all apps and relaunching the launcher but i encounter this error upon trying to install code 2023

Error occurred during installation of Code: error running: ['D:\omniverse\Library\deps\795f6abc38988ca868180636507b0118\dev\tools\../../kit/kit.exe', 'D:\omniverse\Library\deps\795f6abc38988ca868180636507b0118\dev\tools\../../apps/omni.code.kit', '--allow-root', '--ext-precache-mode', '--/app/settings/persistent=0', '--/app/settings/loadUserConfig=0', '--/app/enableStdoutOutput=1', '--/app/extensions/registryEnabled=1', '--/app/extensions/mkdirExtFolders=0', '--/log/flushStandardStreamOutput=1', '--/exts/omni.kit.registry.nucleus/registries/0/name="kit/default"', '--/exts/omni.kit.registry.nucleus/registries/0/url=""', '--/exts/omni.kit.registry.nucleus/registries/1/name="kit/sdk"', '--/exts/omni.kit.registry.nucleus/registries/1/url="${kit_version_short}/${kit_git_hash}"', "--/app/extensions/registryCacheFull='D:\omniverse\Library\deps\795f6abc38988ca868180636507b0118\dev\tools\../../extscache'", '--ext-folder', 'D:\omniverse\Library\deps\795f6abc38988ca868180636507b0118\dev\tools\../../exts', '--ext-folder', 'D:\omniverse\Library\deps\795f6abc38988ca868180636507b0118\dev\tools\../../apps', '--/app/extensions/parallelPullEnabled=1', '--/app/enableStdoutOutput=0', '--/app/fastShutdown=1'], code: 55, message: ""

launcher.log (17.8 KB)

@frederick.liew is your case your log shows that you are simply not logged into Launcher and do not have authorization. I would quit and re-login fresh and try again.

@kulkarni.yp in your case you are failing to connect to your own local resources “Error: Failed to connect to the discovery service:”

Also it is telling me in the logs that you are trying to install Code whilst another installation is in progress.

Why don’t both of you uninstall of all the apps and then fully quit launcher. Then delete the entire OV folder containing “cache, data, pkgs”. Try that and try again

@Richard3D I’m guessing you mean the folder under the User’s AppData Folder. Ill try that and install again.